Free speech and White Supremacy at Texas A & M (and elsewhere)

澳门六合彩预测 constitutional law Professor Dale Carpenter writes about an effort by Texas A&M University to stifle a 鈥淲hite Lives Matter鈥 rally on September 11.

By Dale Carpenter

Dale Carpenter
Dale Carpenter

At the height of the deadly racist mayhem last Saturday in Charlottesville, a so-called white nationalist named Preston Wiginton  that he would hold a “White Lives Matter” rally on September 11 on the grounds of Texas A & M, a public university in College Station. The rally would feature Richard Spencer, a well-known white nationalist whose speech at an auditorium at the university in December sparked outrage and near violence on campus. The headline of Wiginton’s press release blared in all caps, “TODAY CHARLOTTESVILLE, TOMORROW TEXAS A&M.”

An opposing group immediately announced a counter-protest to be called “BTHO Hate,” borrowing from a campus sports-program acronym meaning “beat the hell out of.”

On Monday night, Texas A & M  it was canceling Wigginton’s rally, and :

After consultation with law enforcement and considerable study, Texas A&M is cancelling the event scheduled by Preston Wiginton at Rudder Plaza on campus on September 11 because of concerns about the safety of its students, faculty, staff, and the public.

Texas A&M changed its policy after December’s protests so that no outside individual or group could reserve campus facilities without the sponsorship of a university-sanctioned group. None of the 1200-plus campus organizations invited Preston Wiginton nor did they agree to sponsor his events in December 2016 or on September 11 of this year.

With no university facilities afforded him, he chose instead to plan his event outdoors for September 11 at Rudder Plaza, in the middle of campus, during a school day, with a notification to the media under the headline “Today Charlottesville, Tomorrow Texas A&M.”

Linking the tragedy of Charlottesville with the Texas A&M event creates a major security risk on our campus. Additionally, the daylong event would provide disruption to our class schedules and to student, faculty and staff movement (both bus system and pedestrian).

Texas A&M’s support of the First Amendment and the freedom of speech cannot be questioned. On December 6, 2016 the university and law enforcement allowed the same speaker the opportunity to share his views, taking all of the necessary precautions to ensure a peaceful event. However, in this case, circumstances and information relating to the event have changed and the risks of threat to life and safety compel us to cancel the event.

Finally, the thoughts and prayers of Aggies here on campus and around the world are with those individuals affected by the tragedy in Charlottesville.

Texas A & M is a public university subject to the demands of the First Amendment. It cannot ban speech on campus simply because the content of that speech is objectionable to many or all. Even hate speech like that of White Supremacists is fully constitutionally protected. Courts long ago held that Nazis bearing swastikas must be allowed to march down the streets of a neighborhood populated by Holocaust survivors. Furthermore, Texas A & M permits , whether or not the speakers are sponsored by a student group.

University lawyers know this, so officials have not announced a total ban on racist hate speech on campus.  They are “cancelling” this particular event. And they are offering purported content-neutral justifications for the cancellation. Are they on solid First Amendment ground?

The first and potentially most compelling justification for the cancellation is a public safety concern. Given violent clashes in other places where political extremists have rallied, and especially the demonstration four days ago at the University of Virginia, it’s easy to sympathize with the university. Moreover, September 11 is an especially sensitive day on the American calendar–which is no doubt the reason it was chosen for the rally. Protecting public safety is certainly a legitimate and indeed powerful concern of public officials. Speakers may not threaten violence or incite others to violence. Any actual acts of violence by speakers or counter-protesters could be punished.

The problem for Texas A & M is that, judging by the public record, we have no indication so far that organizers have made what courts would likely consider threats of violence. It’s true that Wiginton linked his event to Charlottesville. But a vague publicity reference to “Today Charlottesville, Tomorrow Texas A &M” is not enough to qualify as an unprotected true threat.

There’s also no evidence that organizers directly encouraged–incited–others to commit acts of violence. To constitute unprotected incitement, the speech must clearly advocate actual lawlessness (not merely hint at it) and be likely to immediately cause such lawlessness (not merely increase its likelihood). Under this test, the Supreme Court reversed the criminal conviction of a Klan leader who told armed members at a cross-burning rally that “there might have to be some revengeance [sic] taken” against “niggers” and “Jews.”

The second justification for the cancellation is that the event would disturb the normal activities of the campus during a school day, including possible disruption to class schedules, and would impede the safe and free movement of pedestrians and vehicles through campus. These are legitimate content-neutral concerns of the government, but there is a fact question about whether a protest or event could be orchestrated in a way that would minimize disruption and allow adequate traffic flow. These are matters that could be negotiated by lawyers for the university and the speakers, with differences adjudicated by a judge.  Again, these concerns won’t justify wholly forbidding the speech.

The university’s cancellation is an opening bid in a negotiation with lawyers for the speakers. It may be that a different date or time or specific place on campus for the event can be arranged to address safety and other concerns.  Certainly the university can  take steps to protect the peace, like increasing police presence and erecting barriers between opposing groups. But I doubt the University will succeed in simply prohibiting this event on campus.

Texas A & M is not a one-off. The newly emboldened and brazen white racist movement is seeking similar publicity around the country. The constitutional issues raised by the university’s purported cancellation of a White Supremacy rally will recur. The First Amendment is not an alt-right slogan. We can’t let it be distorted by our fear of bigots. And we can’t let it be a tool for them alone.

-- Calculated crystals that have nothing to do with the text --
- - -
# 1
Entry from Alexandria via LeMat-Bulk: NiAsPPtC after structural relaxation (PBE-GGA).

Cell lengths 3.4120, 4.6887, 5.3108 Å; angles 114.46, 89.97, 111.58 degrees
Closest atoms and distances in Å follow each position.
Positions (direct):
As  0.2066  0.1390  0.6544  1 C 1.88
C  0.9936  0.7035  0.6462  1 P 1.78, 1 As 1.88
Pt  0.7453  0.2147  0.3308  1 C 2.04
P  0.0383  0.7957  0.0077  1 C 1.78
Ni  0.4079  0.5369  0.1179  2 P 2.26, 1 As 2.30

Summary:
Its polymorph energy (0 for the lowest one) is 105 meV/atom. For the total magnetization, the calculation gives 0.0 μB/f.u. For the calculated formation energy, the calculation gives 0.251 eV per atom. The calculated total energy comes out at -5.97 eV per atom.

# 2
Entry from Alexandria via LeMat-Bulk: NiAsPPtC after structural relaxation (PBE-GGA).

Cell lengths 3.5803, 4.1808, 6.1356 Å; angles 90.07, 73.27, 64.91 degrees
Closest atoms and distances in Å follow each position.
Positions (direct):
C  0.0506  0.8166  0.9118  1 P 1.78, 2 Ni 1.85
P  0.7502  0.2356  0.0919  1 C 1.78
As  0.7798  0.7545  0.5154  1 Ni 2.31, 3 Pt 2.53-2.55
Ni  0.6159  0.6944  0.9017  2 C 1.85
Pt  0.1932  0.1072  0.3364  2 P 2.39, 3 As 2.53-2.55

Summary:
Its polymorph energy (0 for the lowest one) is 73 meV/atom. For the total magnetization, the calculation gives 0.0 μB/f.u. For the calculated formation energy, the calculation gives 0.219 eV per atom. The calculated total energy comes out at -6.00 eV per atom.

# 3
Entry from Alexandria via LeMat-Bulk: Sc2NiAsC after structural relaxation (PBE-GGA).

Cell lengths 4.5596, 4.5596, 3.7079 Å; angles 90.00, 90.00, 90.00 degrees
Closest atoms and distances in Å follow each position.
Positions (direct):
Sc  0.5000  0.0000  0.0000  2 C 2.28
Sc  0.0000  0.5000  0.0000  2 C 2.28
Ni  0.0000  0.0000  0.5000  2 C 1.85
As  0.5000  0.5000  0.5000  8 Sc 2.94, 4 Ni 3.22
C  0.0000  0.0000  0.0000  2 Ni 1.85

Summary:
For the total magnetization, the calculation gives 0.0 μB/f.u. For the calculated formation energy, the calculation gives -0.655 eV per atom. The calculated total energy comes out at -7.12 eV per atom.

# 4
Entry from Alexandria via LeMat-Bulk: NiAs2CSe after structural relaxation (PBE-GGA).

Cell lengths 4.2411, 4.2411, 4.3688 Å; angles 90.00, 90.00, 90.00 degrees
Closest atoms and distances in Å follow each position.
Positions (direct):
C  0.0000  0.0000  0.0000  4 As 2.12, 2 Se 2.18
Se  0.0000  0.0000  0.5000  2 C 2.18
As  0.5000  0.0000  0.0000  2 C 2.12
As  0.0000  0.5000  0.0000  2 C 2.12
Ni  0.5000  0.5000  0.5000  4 Se 3.00, 8 As 3.04

Summary:
Its polymorph energy (0 for the lowest one) is 0 meV/atom. The formation energy (no corrections) comes out at 1169 meV per atom. For the total magnetization, the calculation gives 0.0 μB/f.u. The calculated total energy comes out at -4.39 eV per atom.

# 5
Entry from Alexandria via LeMat-Bulk: NiAs2CSe after structural relaxation (PBE-GGA).

Cell lengths 4.4680, 4.4680, 4.8333 Å; angles 90.00, 90.00, 90.00 degrees
- - -

Undoubtedly, many people feel provoked to violence when they see swastikas or Confederate flags or hear slogans that evoke genocide like “Jews will not replace us.” Thus, the planned counter-protest in response to Wiginton employed the language of force (“beat the hell out of hate”). But provocation is not incitement. The university cannot bar controversial speech simply because listeners might be deeply offended or might themselves react violently when they hear the speech. Federal courts are wary of allowing such a “heckler’s veto” of controversial speech–especially based on an undifferentiated fear that violence might possibly ensue. Shutting down or prohibiting speech is the last resort, not the first.

Minimizing and containing the threat of violence at the rally is a matter for negotiation between the speakers and the university, with a judge resolving outstanding differences. But safety concerns are unlikely to prevent the speech altogether.